Request:
What is needed: return the whole of the data further down unchanged.
Listing:
********
1.
141
Properties=species:S:1:pos:R:3:lowdin_charge:R:1 method="wB97M-V/def2-TZVPD" gap_ev=6.0 charge=+1 homo_ev=-10.33
N 5.4267 -4.9071 -1.3888 0.192
C 5.2749 -3.6291 -1.7945 -0.343
N 6.0586 -2.9692 -2.6886 0.152
C 5.5038 -1.5601 -2.6818 -0.101
C 4.0584 -1.7508 -2.3202 -0.275
C 3.3768 -0.5493 -1.6553 -0.124
C 2.2558 0.0756 -2.5234 -0.163
C 0.8936 0.0672 -1.8303 -0.251
N 0.1681 -1.1580 -2.1422 -0.076
C -1.1838 -1.1465 -1.5471 -0.150
C -1.9554 -2.3382 -2.1012 -0.151
C -1.3323 -3.3903 -2.7472 -0.049
C -2.1119 -4.4174 -3.2543 -0.095
C -3.4812 -4.4228 -3.1045 -0.079
C -4.0895 -3.3660 -2.4540 -0.004
C -3.3347 -2.3364 -1.9377 -0.282
O -3.9342 -1.2916 -1.2626 0.032
N 4.2364 -2.8627 -1.3172 0.150
H 5.7817 -5.1096 -0.4709 0.129
H 5.2383 -5.6662 -2.0268 0.117
H 5.9043 -3.2876 -3.6521 0.156
H 5.7212 -0.9842 -3.5721 0.139
H 5.9520 -1.1644 -1.7682 0.135
H 3.4299 -2.1675 -3.1062 0.151
H 2.9559 -0.8436 -0.6967 0.113
H 4.1473 0.2039 -1.4936 0.116
H 2.5214 1.1149 -2.7068 0.109
H 2.2254 -0.4289 -3.4883 0.108
H 0.3563 0.9705 -2.1454 0.115
H 1.0510 0.0833 -0.7513 0.107
H -0.0202 -1.1156 -3.1398 0.112
H -1.1310 -1.1745 -0.4617 0.131
H -1.7054 -0.2640 -1.9279 0.124
H -0.2625 -3.4270 -2.8630 0.095
H -1.6037 -5.2276 -3.7579 0.098
H -4.0631 -5.2456 -3.4875 0.106
H -5.1648 -3.3508 -2.3542 0.124
H -3.9769 -1.5780 -0.3414 0.103
H 4.4764 -2.4671 -0.4053 0.168
C -6.9151 0.2665 1.0808 -0.110
O -5.6160 0.3881 1.6481 -0.320
P -5.1279 -0.7875 2.7241 0.628
O -5.7760 -1.9424 2.0162 -0.252
O -6.0888 -0.1710 3.8920 -0.284
C -5.9544 1.2100 4.2777 -0.085
O -4.3088 -1.7760 3.7760 -0.253
C -4.6866 -1.9254 5.1399 -0.102
H -7.1830 1.2460 0.6837 0.077
H -6.9031 -0.4510 0.2633 0.085
H -7.6546 -0.0257 1.8258 0.094
H -6.8055 1.7726 3.8949 0.092
H -5.0328 1.6529 3.9049 0.061
H -5.9565 1.2600 5.3661 0.089
H -5.7208 -2.2587 5.2083 0.097
H -4.5437 -1.0019 5.6990 0.087
H -4.0332 -2.6868 5.5642 0.091
C -1.5850 2.9697 5.9799 -0.077
O -1.7058 3.6627 4.7265 -0.268
P -1.6911 2.7319 3.3924 0.558
O -2.4031 1.4982 3.7815 -0.236
O -0.0578 2.5652 3.4576 -0.288
C 0.7713 3.7091 3.6920 -0.108
O -1.7407 2.6397 1.7589 -0.234
C -0.5953 2.3492 0.9647 -0.103
H -1.2886 3.7016 6.7224 0.066
H -2.5415 2.5455 6.2718 0.094
H -0.8261 2.1892 5.9242 0.096
H 1.1692 3.6621 4.7053 0.089
H 0.2317 4.6464 3.5668 0.089
H 1.6015 3.6798 2.9856 0.084
H -0.1564 1.3999 1.2669 0.090
H 0.1442 3.1469 1.0172 0.084
H -0.9448 2.2725 -0.0644 0.087
C 8.9294 -0.9644 -3.5738 -0.112
O 8.8950 -0.0047 -4.6213 -0.268
P 8.8218 -0.6534 -6.1243 0.527
O 7.9443 -1.8370 -5.9580 -0.259
O 10.4032 -1.0383 -6.1511 -0.275
C 11.3910 -0.0879 -5.7190 -0.093
O 8.6945 -0.3588 -7.7094 -0.221
C 9.7658 -0.6032 -8.6297 -0.077
H 9.2868 -0.4629 -2.6745 0.101
H 7.9313 -1.3427 -3.3925 0.035
H 9.6041 -1.7879 -3.8043 0.098
H 11.7867 -0.3973 -4.7527 0.090
H 10.9871 0.9194 -5.6325 0.089
H 12.2007 -0.0851 -6.4467 0.091
H 10.0770 -1.6432 -8.5769 0.099
H 10.6086 0.0598 -8.4480 0.085
H 9.3727 -0.3938 -9.6218 0.097
C -8.4543 7.4097 0.0657 -0.102
O -8.0959 6.1651 -0.5400 -0.275
P -7.1340 5.1921 0.3471 0.530
O -7.5623 5.3845 1.7447 -0.236
O -5.7787 6.0494 0.0063 -0.281
C -5.5194 6.4802 -1.3340 -0.112
O -6.3914 3.7436 0.4084 -0.232
C -4.9711 3.6133 0.3235 -0.090
H -8.7976 8.0586 -0.7388 0.093
H -9.2625 7.2656 0.7778 0.090
H -7.5972 7.8677 0.5580 0.090
H -5.6835 7.5553 -1.4038 0.088
H -6.1536 5.9771 -2.0624 0.087
H -4.4753 6.2674 -1.5651 0.084
H -4.4818 4.1943 1.1025 0.092
H -4.6152 3.9114 -0.6616 0.083
H -4.7326 2.5607 0.4716 0.080
C 4.0126 -10.6317 -6.3203 -0.086
O 4.7902 -9.4309 -6.4400 -0.270
P 4.5509 -8.3102 -5.2922 0.534
O 4.3271 -9.0612 -4.0442 -0.230
O 3.1671 -7.7591 -5.9588 -0.277
C 3.0861 -7.5279 -7.3761 -0.094
O 5.0047 -6.8434 -4.7003 -0.238
C 4.1660 -5.7036 -4.7661 -0.107
H 4.0352 -11.1107 -7.2972 0.097
H 4.4556 -11.2973 -5.5851 0.092
H 2.9819 -10.4053 -6.0517 0.093
H 2.4755 -8.3064 -7.8298 0.092
H 4.0653 -7.5218 -7.8514 0.089
H 2.6052 -6.5637 -7.5371 0.087
H 3.2115 -5.8969 -4.2781 0.106
H 4.0146 -5.3722 -5.7914 0.092
H 4.6821 -4.9067 -4.2262 0.051
********
Completed:
1.
141
Properties=species:S:1:pos:R:3:lowdin_charge:R:1 method="wB97M-V/def2-TZVPD" gap_ev=6.0 charge=+1 homo_ev=-10.33
N 5.4267 -4.9071 -1.3888 0.192
C 5.2749 -3.6291 -1.7945 -0.343
N 6.0586 -2.9692 -2.6886 0.152
C 5.5038 -1.5601 -2.6818 -0.101
C 4.0584 -1.7508 -2.3202 -0.275
C 3.3768 -0.5493 -1.6553 -0.124
C 2.2558 0.0756 -2.5234 -0.163
C 0.8936 0.0672 -1.8303 -0.251
N 0.1681 -1.1580 -2.1422 -0.076
C -1.1838 -1.1465 -1.5471 -0.150
C -1.9554 -2.3382 -2.1012 -0.151
C -1.3323 -3.3903 -2.7472 -0.049
C -2.1119 -4.4174 -3.2543 -0.095
C -3.4812 -4.4228 -3.1045 -0.079
C -4.0895 -3.3660 -2.4540 -0.004
C -3.3347 -2.3364 -1.9377 -0.282
O -3.9342 -1.2916 -1.2626 0.032
N 4.2364 -2.8627 -1.3172 0.150
H 5.7817 -5.1096 -0.4709 0.129
H 5.2383 -5.6662 -2.0268 0.117
H 5.9043 -3.2876 -3.6521 0.156
H 5.7212 -0.9842 -3.5721 0.139
H 5.9520 -1.1644 -1.7682 0.135
H 3.4299 -2.1675 -3.1062 0.151
H 2.9559 -0.8436 -0.6967 0.113
H 4.1473 0.2039 -1.4936 0.116
H 2.5214 1.1149 -2.7068 0.109
H 2.2254 -0.4289 -3.4883 0.108
H 0.3563 0.9705 -2.1454 0.115
H 1.0510 0.0833 -0.7513 0.107
H -0.0202 -1.1156 -3.1398 0.112
H -1.1310 -1.1745 -0.4617 0.131
H -1.7054 -0.2640 -1.9279 0.124
H -0.2625 -3.4270 -2.8630 0.095
H -1.6037 -5.2276 -3.7579 0.098
H -4.0631 -5.2456 -3.4875 0.106
H -5.1648 -3.3508 -2.3542 0.124
H -3.9769 -1.5780 -0.3414 0.103
H 4.4764 -2.4671 -0.4053 0.168
C -6.9151 0.2665 1.0808 -0.110
O -5.6160 0.3881 1.6481 -0.320
P -5.1279 -0.7875 2.7241 0.628
O -5.7760 -1.9424 2.0162 -0.252
O -6.0888 -0.1710 3.8920 -0.284
C -5.9544 1.2100 4.2777 -0.085
O -4.3088 -1.7760 3.7760 -0.253
C -4.6866 -1.9254 5.1399 -0.102
H -7.1830 1.2460 0.6837 0.077
H -6.9031 -0.4510 0.2633 0.085
H -7.6546 -0.0257 1.8258 0.094
H -6.8055 1.7726 3.8949 0.092
H -5.0328 1.6529 3.9049 0.061
H -5.9565 1.2600 5.3661 0.089
H -5.7208 -2.2587 5.2083 0.097
H -4.5437 -1.0019 5.6990 0.087
H -4.0332 -2.6868 5.5642 0.091
C -1.5850 2.9697 5.9799 -0.077
O -1.7058 3.6627 4.7265 -0.268
P -1.6911 2.7319 3.3924 0.558
O -2.4031 1.4982 3.7815 -0.236
O -0.0578 2.5652 3.4576 -0.288
C 0.7713 3.7091 3.6920 -0.108
O -1.7407 2.6397 1.7589 -0.234
C -0.5953 2.3492 0.9647 -0.103
H -1.2886 3.7016 6.7224 0.066
H -2.5415 2.5455 6.2718 0.094
H -0.8261 2.1892 5.9242 0.096
H 1.1692 3.6621 4.7053 0.089
H 0.2317 4.6464 3.5668 0.089
H 1.6015 3.6798 2.9856 0.084
H -0.1564 1.3999 1.2669 0.090
H 0.1442 3.1469 1.0172 0.084
H -0.9448 2.2725 -0.0644 0.087
C 8.9294 -0.9644 -3.5738 -0.112
O 8.8950 -0.0047 -4.6213 -0.268
P 8.8218 -0.6534 -6.1243 0.527
O 7.9443 -1.8370 -5.9580 -0.259
O 10.4032 -1.0383 -6.1511 -0.275
C 11.3910 -0.0879 -5.7190 -0.093
O 8.6945 -0.3588 -7.7094 -0.221
C 9.7658 -0.6032 -8.6297 -0.077
H 9.2868 -0.4629 -2.6745 0.101
H 7.9313 -1.3427 -3.3925 0.035
H 9.6041 -1.7879 -3.8043 0.098
H 11.7867 -0.3973 -4.7527 0.090
H 10.9871 0.9194 -5.6325 0.089
H 12.2007 -0.0851 -6.4467 0.091
H 10.0770 -1.6432 -8.5769 0.099
H 10.6086 0.0598 -8.4480 0.085
H 9.3727 -0.3938 -9.6218 0.097
C -8.4543 7.4097 0.0657 -0.102
O -8.0959 6.1651 -0.5400 -0.275
P -7.1340 5.1921 0.3471 0.530
O -7.5623 5.3845 1.7447 -0.236
O -5.7787 6.0494 0.0063 -0.281
C -5.5194 6.4802 -1.3340 -0.112
O -6.3914 3.7436 0.4084 -0.232
C -4.9711 3.6133 0.3235 -0.090
H -8.7976 8.0586 -0.7388 0.093
H -9.2625 7.2656 0.7778 0.090
H -7.5972 7.8677 0.5580 0.090
H -5.6835 7.5553 -1.4038 0.088
H -6.1536 5.9771 -2.0624 0.087
H -4.4753 6.2674 -1.5651 0.084
H -4.4818 4.1943 1.1025 0.092
H -4.6152 3.9114 -0.6616 0.083
H -4.7326 2.5607 0.4716 0.080
C 4.0126 -10.6317 -6.3203 -0.086
O 4.7902 -9.4309 -6.4400 -0.270
P 4.5509 -8.3102 -5.2922 0.534
O 4.3271 -9.0612 -4.0442 -0.230
O 3.1671 -7.7591 -5.9588 -0.277
C 3.0861 -7.5279 -7.3761 -0.094
O 5.0047 -6.8434 -4.7003 -0.238
C 4.1660 -5.7036 -4.7661 -0.107
H 4.0352 -11.1107 -7.2972 0.097
H 4.4556 -11.2973 -5.5851 0.092
H 2.9819 -10.4053 -6.0517 0.093
H 2.4755 -8.3064 -7.8298 0.092
H 4.0653 -7.5218 -7.8514 0.089
H 2.6052 -6.5637 -7.5371 0.087
H 3.2115 -5.8969 -4.2781 0.106
H 4.0146 -5.3722 -5.7914 0.092
H 4.6821 -4.9067 -4.2262 0.051